Does the transform operation operate on all data at once or does it operate once every time batch size data is loaded?

For example, I have a set of 10,000 1080P pictures, I resize them to 224 in transform, batch size=20, when the program is running, do I resize 10,000 pictures to 224 at once or resize 20 img at once?

train_transform = transforms.Compose(
        [transforms.RandomHorizontalFlip(), transforms.RandomCrop(224), transforms.ToTensor(),
         transforms.Normalize(mean, std)])

This question is raised because I have 200,000 1080P pictures. If I use 200 of them to train the network, there is no problem, but if I use these 200,000 pictures for training, the graphics card memory will be insufficient.

I want to know how the transform works

They will typically be resized one by one in your dataset class. It’s also possible to do it per batch in the dataloader’s collate function.

200.000 images will not be resized at the same time.

Thank you, can you tell me why the network can run when 200 sheets are used, but not when 10000 sheets are used?

I always thought that the increase in the data set will only increase the training time. If the batch size remains the same, the GPU usage should also remain the same, right?

Yes, you are correct in that the GPU memory usage should remain the same. If it’s increasing for every batch you most likely have a bug in the program.

Do you have such a problem?

Yes, I have this problem. If I use 200 images for training, it will take about 10 seconds for the GPU to use from 1800MB to 4848MB, but if I choose 10,000 images for training, it will take about 1 hour for the GPU to go from 1800MB to out of memory.

Do you know how to solve it ?

Yes I think that I can help you :slight_smile:

  1. Make sure to do the backpropagation. loss.backward()
  2. Don’t hold on to the image, labels, loss or any other GPU tensor in another list. If you want to save e.g. the loss, save the loss.item() so the GPU can free the memory.

If this won’t solve your problem, please post the code of your training loop :slight_smile:

Thank you so much! Yes , I have loss.backward(), But I don’t quite understand the second point you said, Below is my training loop code:

    def train():
        loss_avg = 0.0
        for batch_idx, (data, target) in enumerate(train_loader):
            data, target = torch.autograd.Variable(data.cuda()), torch.autograd.Variable(target.cuda())

            # forward
            output = net(data)

            # backward
            loss = F.cross_entropy(output, target)

            # exponential moving average
            loss_avg = loss_avg * 0.2 + float(loss) * 0.8

        state['train_loss'] = loss_avg

Try this code instead

    def train():
        loss_avg = 0.0
        for batch_idx, (data, target) in enumerate(train_loader):
            data, target = data.cuda(), target.cuda()

            # forward
            output = net(data)

........
[1]
Molecular formula: C5H10O
Method: DFT, the ωB97M-V functional and the def2-TZVPD basis

As for the SMILES: CCCCC=O. The maximum force comes out at 2.513 eV/Å. Its lowest unoccupied orbital energy is 1.04 eV. The charge is 0.

Geometry as XYZ:
```
16
Properties=species:S:1:pos:R:3:forces:R:3:lowdin_charge:R:1
C 1.68222 -0.32836 -0.87865 -1.0228 -0.0737 0.3225 -0.1026
C 1.12028 0.18203 0.45365 -0.7770 0.5720 1.0491 -0.2524
C -0.22900 0.99459 0.29556 1.1825 -0.5470 0.2513 -0.2089
C -1.32456 0.12644 -0.27807 -0.1630 0.3174 -2.4871 -0.1935
C -1.77786 -0.88728 0.73178 -0.7223 0.1802 -0.1644 -0.2603
O -2.92260 -1.20756 0.92353 -0.0526 -0.0378 -0.1613 0.0539
H 1.73345 -1.41125 -0.91193 0.8826 -0.2008 0.3915 0.0702
H 2.60702 0.20439 -1.05669 0.2051 -0.4106 -0.5813 0.0697
H 0.95308 -0.21511 -1.68218 0.2044 0.8333 -0.1932 0.0556
H 1.03329 -0.62272 1.20697 -0.1679 0.2207 -0.4720 0.0907
H 1.81695 0.88280 0.92954 0.0715 -0.1390 -0.2194 0.0962
H -0.63485 1.37744 1.23487 0.5195 0.0115 0.2838 0.1092
H 0.07284 1.88057 -0.27392 -0.6086 -0.2058 -0.3449 0.1132
H -2.11503 0.67661 -0.82613 -0.3980 0.1302 1.4409 0.1269
H -1.01482 -0.33254 -1.24744 0.5742 -0.6542 0.9373 0.1145
H -1.00040 -1.32003 1.37912 0.2726 0.0036 -0.0530 0.1176
```
Positions in Å, forces in eV/Å.



[2]
Molecular formula: C16H20ClNO4
Method: DFT, the ωB97M-V functional and the def2-TZVPD basis

As for the SMILES: CC(C)CNC(=O)COC(=O)CCC(=O)c1ccc(Cl)cc1. The maximum force comes out at 0.686 eV/Å. Its lowest unoccupied orbital energy is -0.19 eV. The charge is 0.

Geometry as XYZ:
```
42
Properties=species:S:1:pos:R:3:forces:R:3:lowdin_charge:R:1
C -1.75399 4.28912 -3.80034 -0.2741 0.0526 0.0239 -0.0717
C -3.10529 3.92276 -3.19258 0.1363 -0.0709 0.1625 -0.4122
C -3.43097 2.45028 -3.43827 -0.0784 0.3199 -0.0230 -0.0749
C -3.13372 4.25569 -1.69360 -0.2161 0.2786 -0.1715 -0.1566
N -2.07814 3.59290 -0.96651 -0.4148 -0.3721 -0.3400 0.0797
C -1.13010 4.25607 -0.28944 0.3175 -0.5049 0.3380 -0.4672
O -1.08412 5.46102 -0.16155 0.1603 0.3849 0.0466 0.0647
C -0.05690 3.33739 0.32320 0.2536 0.3212 -0.3594 -0.0427
O -0.56785 2.39390 1.26324 -0.1023 0.2110 0.2893 0.0338
C -1.02730 1.23481 0.81693 -0.2931 -0.2328 0.1509 -0.5144
O -1.20318 0.96837 -0.35083 0.0288 -0.0737 -0.0304 0.0895
C -1.37335 0.29761 1.95520 0.2198 -0.0876 -0.1944 -0.0675
C -0.90654 -1.11427 1.60440 -0.0222 0.5448 -0.0223 -0.1057
C 0.56798 -1.09059 1.24973 -0.2820 -0.1808 0.0621 -0.3302
O 1.16021 -0.04152 1.12205 0.0807 -0.0820 0.1005 0.1166
C 1.24722 -2.39363 1.05712 0.4973 -0.2788 -0.1167 -0.1433
C 2.63660 -2.38509 0.91499 -0.2058 0.0495 0.0266 -0.0015
C 3.34213 -3.55656 0.73611 -0.0003 -0.1099 -0.0108 -0.0883
C 2.65242 -4.76015 0.69027 -0.2457 0.2740 0.0452 -0.6691
Cl 3.51803 -6.23323 0.46798 0.1042 -0.1754 -0.0272 0.6906
C 1.27034 -4.79121 0.81967 0.1408 -0.1668 -0.0327 -0.0953
C 0.57293 -3.61354 1.00468 0.1028 0.3025 0.0271 -0.0186
H -1.77150 4.14648 -4.87818 0.0532 -0.0186 -0.1175 0.0755
........

            # backward
            loss = F.cross_entropy(output, target)

            # exponential moving average
            loss_avg = loss_avg * 0.2 + loss.item() * 0.8

        state['train_loss'] = loss_avg

Thanks Reply. I tested it on two GPUs. After changing the train loop, it only took 10 seconds for 200 images to change from 1686MB to 4848MB. The other 10,000 images have not changed until now.


And I found that when batch size=2, I increased the training data from 200 to 550. When I turned on the train loop, I found that the first time from 1686 to 4848, print(batch_idx) will output 0 ,1,2,274, and then the GPU will become 4848MB. When batch size=4, the output will be 0,1,2,3,137.
I think that GPU memory will increase only when all the data is running.

This should be abnormal, right? I tested other programs and found that one batch will start to occupy the GPU Instead of using the GPU until all batches are loaded

It’s a bit hard for me to understand you. What do you think is abnormal?
The batches are supposed to be processed one by one, not all at the same time.

I mean, the GPU should process one batch of data at a time? But now it seems that in this program, the GPU processes all the input at once, so it’s okay when there are 200 pictures, but when the pictures are 10,000, the memory is exceeded.

You are correct in that it should process one batch at a time. If it doesn’t that’s a problem. Maybe you have a bug in your dataset/dataloader then? It’s hard to say with the information I have